_Given_
........
Record 1
The following is a DFT calculation (PBE) of ZrAl2N after structural relaxation.

Unit cell a=6.9532 b=6.9532 c=4.8499 alpha=90.00 beta=90.00 gamma=90.00
Space group I-42d (No. 122)
Asymmetric unit:
Zr1 0.0000 0.0000 0.0000 [4 per cell]
Al1 0.1549 0.2500 0.6250 [8 per cell]
N1 0.0000 0.0000 0.5000 [4 per cell]

Summary:
DOS(E_F), states/eV/cell: 8.5
E_form (uncorrected), meV per atom: -214.7
Size of the total moment, μB/cell: 0.00

Record 2
The following is a DFT calculation (PBE) of Tl2NiGeS4 after structural relaxation.

Unit cell a=6.3693 b=14.2303 c=19.9294 alpha=90.00 beta=90.00 gamma=90.00
Space group Fddd (No. 70, origin choice 2)
Asymmetric unit:
Tl1 0.1250 0.1250 0.2920 [16 per cell]
Ni1 0.1250 0.1250 0.1250 [8 per cell]
Ge1 0.1250 0.1250 0.6250 [8 per cell]
S1 0.1181 0.2756 0.4096 [32 per cell]

Summary:
DOS(E_F), states/eV/cell: 1.7
E_form (uncorrected), meV per atom: -269.8
Size of the total moment, μB/cell: 0.00

Record 3
The following is a DFT calculation (PBE) of Rb5Na4Hg after structural relaxation.

Unit cell a=4.7944 b=4.7944 c=24.8792 alpha=90.00 beta=90.00 gamma=90.00
Space group P4/mmm (No. 123)
Asymmetric unit:
Rb1 0.0000 0.0000 0.0000 [1 per cell]
Rb2 0.0000 0.0000 0.2094 [2 per cell]
Rb3 0.0000 0.0000 0.4156 [2 per cell]
Na1 0.5000 0.5000 0.1054 [2 per cell]
Na2 0.5000 0.5000 0.3149 [2 per cell]
Hg1 0.5000 0.5000 0.5000 [1 per cell]

Summary:
DOS(E_F), states/eV/cell: 6.7
Energy of formation, eV/atom: -0.01
Size of the total moment, μB/cell: 0.00

Record 4
The following is a DFT calculation (PBE) of K2PuPbF8 after structural relaxation.

Unit cell a=6.0039 b=6.0039 c=11.5094 alpha=90.00 beta=90.00 gamma=90.00
Space group I-4m2 (No. 119)
Asymmetric unit:
K1 0.0000 0.0000 0.0000 [2 per cell]
K2 0.0000 0.5000 0.2500 [2 per cell]
Pu1 0.0000 0.5000 0.7500 [2 per cell]
Pb1 0.0000 0.0000 0.5000 [2 per cell]
F1 0.2135 0.2735 0.6342 [16 per cell]

Summary:
DOS(E_F), states/eV/cell: 15.6
E_form (uncorrected), meV per atom: -3021.7
Size of the total moment, μB/cell: 8.00

Record 5
The following is a DFT calculation (PBE) of Ti3Au3N after structural relaxation.

Unit cell a=12.0234 b=12.0234 c=12.0234 alpha=90.00 beta=90.00 gamma=90.00
Space group Fd-3m (No. 227, origin choice 2)
Asymmetric unit:
Ti1 0.0535 0.3750 0.3750 [48 per cell]
Au1 0.0000 0.0000 0.5000 [16 per cell]
Au2 0.0297 0.0297 0.7203 [32 per cell]
N1 0.0000 0.0000 0.0000 [16 per cell]

Summary:
DOS(E_F), states/eV/cell: 98.5
E_form (uncorrected), meV per atom: -616.1
Size of the total moment, μB/cell: 0.07

~~~~~

[1]
Below is crystalline TcNi2HOs at its relaxed geometry, with properties calculated at the PBE level.

Calculated values
Total magnetization (μB/atom): 0.000
E (eV/atom): -7.125
SG: P4/mmm

Lattice parameters (Å, degrees): 3.7164 3.7164 3.8445 90.00 90.00 90.00
Last column: nearest neighbours and their distance in Å.
Fractional positions:
Tc (0.0000, 0.0000, 0.0000)  4 Os 2.63, 8 Ni 2.67
Ni (0.0000, 0.5000, 0.5000)  2 H 1.86
Ni (0.5000, 0.0000, 0.5000)  2 H 1.86
H (0.5000, 0.5000, 0.5000)  4 Ni 1.86, 2 Os 1.92
Os (0.5000, 0.5000, 0.0000)  2 H 1.92


[2]
Below is crystalline CaGaHgP2 at its relaxed geometry, with properties calculated at the PBE level.

Calculated values
Total magnetization (μB/atom): 0.000
Formation energy (meV/atom): 255
SG: P4/mmm

Lattice parameters (Å, degrees): 4.7491 4.7491 5.6372 90.00 90.00 90.00
Last column: nearest neighbours and their distance in Å.
Fractional positions:
Ca (0.0000, 0.0000, 0.0000)  2 Ga 2.82
Ga (0.0000, 0.0000, 0.5000)  4 P 2.37
Hg (0.5000, 0.5000, 0.0000)  4 Ca 3.36, 8 P 3.69
P (0.0000, 0.5000, 0.5000)  2 Ga 2.37
P (0.5000, 0.0000, 0.5000)  2 Ga 2.37
........

_Request_
What is needed: return all of the listing further up exactly.

_Reply_
Record 1
The following is a DFT calculation (PBE) of ZrAl2N after structural relaxation.

Unit cell a=6.9532 b=6.9532 c=4.8499 alpha=90.00 beta=90.00 gamma=90.00
Space group I-42d (No. 122)
Asymmetric unit:
Zr1 0.0000 0.0000 0.0000 [4 per cell]
Al1 0.1549 0.2500 0.6250 [8 per cell]
N1 0.0000 0.0000 0.5000 [4 per cell]

Summary:
DOS(E_F), states/eV/cell: 8.5
E_form (uncorrected), meV per atom: -214.7
Size of the total moment, μB/cell: 0.00

Record 2
The following is a DFT calculation (PBE) of Tl2NiGeS4 after structural relaxation.

Unit cell a=6.3693 b=14.2303 c=19.9294 alpha=90.00 beta=90.00 gamma=90.00
Space group Fddd (No. 70, origin choice 2)
Asymmetric unit:
Tl1 0.1250 0.1250 0.2920 [16 per cell]
Ni1 0.1250 0.1250 0.1250 [8 per cell]
Ge1 0.1250 0.1250 0.6250 [8 per cell]
S1 0.1181 0.2756 0.4096 [32 per cell]

Summary:
DOS(E_F), states/eV/cell: 1.7
E_form (uncorrected), meV per atom: -269.8
Size of the total moment, μB/cell: 0.00

Record 3
The following is a DFT calculation (PBE) of Rb5Na4Hg after structural relaxation.

Unit cell a=4.7944 b=4.7944 c=24.8792 alpha=90.00 beta=90.00 gamma=90.00
Space group P4/mmm (No. 123)
Asymmetric unit:
Rb1 0.0000 0.0000 0.0000 [1 per cell]
Rb2 0.0000 0.0000 0.2094 [2 per cell]
Rb3 0.0000 0.0000 0.4156 [2 per cell]
Na1 0.5000 0.5000 0.1054 [2 per cell]
Na2 0.5000 0.5000 0.3149 [2 per cell]
Hg1 0.5000 0.5000 0.5000 [1 per cell]

Summary:
DOS(E_F), states/eV/cell: 6.7
Energy of formation, eV/atom: -0.01
Size of the total moment, μB/cell: 0.00

Record 4
The following is a DFT calculation (PBE) of K2PuPbF8 after structural relaxation.

Unit cell a=6.0039 b=6.0039 c=11.5094 alpha=90.00 beta=90.00 gamma=90.00
Space group I-4m2 (No. 119)
Asymmetric unit:
K1 0.0000 0.0000 0.0000 [2 per cell]
K2 0.0000 0.5000 0.2500 [2 per cell]
Pu1 0.0000 0.5000 0.7500 [2 per cell]
Pb1 0.0000 0.0000 0.5000 [2 per cell]
F1 0.2135 0.2735 0.6342 [16 per cell]

Summary:
DOS(E_F), states/eV/cell: 15.6
E_form (uncorrected), meV per atom: -3021.7
Size of the total moment, μB/cell: 8.00

Record 5
The following is a DFT calculation (PBE) of Ti3Au3N after structural relaxation.

Unit cell a=12.0234 b=12.0234 c=12.0234 alpha=90.00 beta=90.00 gamma=90.00
Space group Fd-3m (No. 227, origin choice 2)
Asymmetric unit:
Ti1 0.0535 0.3750 0.3750 [48 per cell]
Au1 0.0000 0.0000 0.5000 [16 per cell]
Au2 0.0297 0.0297 0.7203 [32 per cell]
N1 0.0000 0.0000 0.0000 [16 per cell]

Summary:
DOS(E_F), states/eV/cell: 98.5
E_form (uncorrected), meV per atom: -616.1
Size of the total moment, μB/cell: 0.07

~~~~~

[1]
Below is crystalline TcNi2HOs at its relaxed geometry, with properties calculated at the PBE level.

Calculated values
Total magnetization (μB/atom): 0.000
E (eV/atom): -7.125
SG: P4/mmm

Lattice parameters (Å, degrees): 3.7164 3.7164 3.8445 90.00 90.00 90.00
Last column: nearest neighbours and their distance in Å.
Fractional positions:
Tc (0.0000, 0.0000, 0.0000)  4 Os 2.63, 8 Ni 2.67
Ni (0.0000, 0.5000, 0.5000)  2 H 1.86
Ni (0.5000, 0.0000, 0.5000)  2 H 1.86
H (0.5000, 0.5000, 0.5000)  4 Ni 1.86, 2 Os 1.92
Os (0.5000, 0.5000, 0.0000)  2 H 1.92


[2]
Below is crystalline CaGaHgP2 at its relaxed geometry, with properties calculated at the PBE level.

Calculated values
Total magnetization (μB/atom): 0.000
Formation energy (meV/atom): 255
SG: P4/mmm

Lattice parameters (Å, degrees): 4.7491 4.7491 5.6372 90.00 90.00 90.00
Last column: nearest neighbours and their distance in Å.
Fractional positions:
Ca (0.0000, 0.0000, 0.0000)  2 Ga 2.82
Ga (0.0000, 0.0000, 0.5000)  4 P 2.37
Hg (0.5000, 0.5000, 0.0000)  4 Ca 3.36, 8 P 3.69
P (0.0000, 0.5000, 0.5000)  2 Ga 2.37
P (0.5000, 0.0000, 0.5000)  2 Ga 2.37